**Activity**
What is needed: reproduce everything below without altering anything.

**Listing**
____________
# 1
26
Properties=species:S:1:pos:R:3:forces:R:3:nbo_charge:R:1 method="wB97M-V/def2-TZVPD" smiles="CNC[C@@H](C)NC=O.O.O" total_energy_ha=-535.32845 e_lumo_ev=0.589 homo_lumo_gap_ev=9.39 relative_energy_kj_mol=132.0
C 0.692 -0.274 2.512 0.7487 -0.5414 -0.1800 -0.408
N 0.278 1.037 2.106 -0.1645 0.4744 -0.0090 -0.650
C 0.913 1.672 0.975 -0.5149 -0.1812 -0.3185 -0.210
C 0.028 1.619 -0.309 0.0217 0.4001 0.4725 -0.084
C -0.064 2.952 -1.062 -0.1572 -0.8341 0.6695 -0.615
N 0.484 0.555 -1.195 -0.0561 -0.0016 0.4536 -0.616
C -0.327 -0.417 -1.649 -0.2424 0.2170 -1.1850 0.517
O -1.529 -0.494 -1.481 0.0827 -0.0126 0.5474 -0.633
H -0.041 -1.047 2.277 -0.0372 -0.0505 0.1037 0.187
H 1.626 -0.552 2.006 -0.1408 -0.0446 -0.1768 0.183
H 0.972 -0.331 3.562 -0.3583 0.0711 0.2575 0.195
H 0.077 1.660 2.865 0.1194 0.0544 0.0342 0.374
H 1.177 2.697 1.233 -0.0750 0.1438 -0.1466 0.197
H 1.826 1.147 0.709 0.4993 -0.0281 0.2063 0.174
H -0.946 1.319 0.066 -0.1546 -0.0311 -0.3252 0.243
H 0.931 3.378 -1.151 0.0016 0.2872 -0.2418 0.201
H -0.524 2.763 -2.021 0.0419 0.1690 -0.3930 0.220
H -0.728 3.601 -0.501 0.1557 0.3494 0.0486 0.221
H 1.412 0.632 -1.581 0.0439 -0.1903 -0.0231 0.398
H 0.189 -1.135 -2.305 0.1599 -0.0966 0.0469 0.119
O -1.879 -3.062 -0.173 0.0312 -0.0175 -0.1608 -0.968
H -1.845 -2.184 -0.589 -0.1219 -0.1238 0.0617 0.489
H -1.264 -3.015 0.564 0.0446 0.0832 0.0822 0.466
O 1.218 -2.589 -0.042 0.5155 -0.2181 0.7318 -0.956
H 0.767 -3.222 -0.604 -0.2419 0.2833 -0.3196 0.486
H 1.142 -1.698 -0.388 -0.2013 -0.1617 -0.2365 0.467

# 2
63
Properties=species:S:1:pos:R:3:forces:R:3:nbo_charge:R:1 method="wB97M-V/def2-TZVPD" smiles=CCO.CCO.CCO.CCO.CCO.CCO.CCO total_energy_ha=-1085.19582 e_lumo_ev=0.557 homo_lumo_gap_ev=10.30 relative_energy_kj_mol=172.9
C -0.075 -3.548 -2.826 -0.3653 0.1210 -0.0184 -0.635
C -0.627 -4.221 -1.581 0.6656 -0.1874 -0.0219 -0.057
O -1.481 -5.307 -1.885 -0.2423 -0.1578 -0.1057 -0.718
H -0.918 -3.204 -3.429 0.1276 0.0469 -0.1146 0.215
H 0.524 -4.229 -3.432 -0.0135 -0.0724 0.0457 0.203
H 0.550 -2.684 -2.594 0.0109 -0.1330 0.0325 0.214
H -1.218 -3.522 -0.992 0.0857 -0.3654 -0.1792 0.169
H 0.203 -4.587 -0.960 -0.0758 0.2011 0.1073 0.148
H -0.970 -5.956 -2.379 -0.0609 -0.0003 -0.0102 0.461
C 2.488 3.237 0.301 0.0774 0.0731 0.1830 -0.628
C 2.665 2.102 -0.683 0.1264 -0.3108 0.2655 -0.060
O 1.938 2.332 -1.878 0.1544 -0.2850 0.1193 -0.748
H 1.429 3.360 0.535 0.0013 0.0575 -0.0578 0.199
H 2.872 4.177 -0.100 -0.0782 -0.0136 -0.0492 0.208
H 3.014 3.028 1.237 0.0333 -0.0412 -0.0497 0.210
H 2.348 1.166 -0.200 -0.1069 0.1068 -0.1291 0.155
H 3.725 1.949 -0.923 -0.0298 0.2037 -0.0780 0.154
H 1.203 1.704 -1.862 -0.3265 0.3017 -0.0273 0.499
C 1.794 -0.956 2.325 -0.1069 0.0986 -0.0522 -0.624
C 3.027 -1.183 1.493 0.2736 0.4983 0.0032 -0.062
O 3.996 -0.207 1.881 0.0269 -0.0934 0.0735 -0.730
H 2.013 -1.045 3.388 0.0123 -0.2001 -0.0007 0.216
H 1.040 -1.684 2.023 -0.1048 0.0354 0.2247 0.209
H 1.406 0.054 2.174 -0.0215 -0.0467 -0.1429 0.206
H 2.804 -1.032 0.432 -0.1220 -0.2758 -0.0376 0.158
H 3.408 -2.196 1.655 0.0365 0.0024 -0.1047 0.160
H 4.733 -0.242 1.265 0.0144 -0.0078 0.0278 0.468
C -5.152 -0.003 3.003 0.7751 -0.4222 -0.6790 -0.631
C -4.211 0.108 4.178 0.3340 -0.0207 0.1719 -0.062
O -4.746 0.886 5.240 0.0001 0.0279 0.1185 -0.724
H -5.317 0.980 2.565 -0.4386 0.0321 0.1810 0.210
H -6.065 -0.547 3.225 -0.2125 0.2731 0.1378 0.210
H -4.640 -0.579 2.217 -0.0885 0.0314 0.1253 0.209
H -3.292 0.611 3.866 -0.0748 0.0669 -0.0401 0.162
H -3.882 -0.873 4.539 -0.2111 -0.0216 -0.0183 0.160
H -5.164 0.299 5.873 -0.0795 0.0201 -0.0007 0.468
C -0.956 3.625 2.368 -0.0035 0.4440 0.0314 -0.651
C -1.334 2.281 1.797 -0.3702 -0.1612 0.4062 -0.061
O -2.161 2.412 0.629 0.3802 -0.1958 0.2888 -0.750
H -0.675 4.313 1.569 0.1030 -0.0842 -0.0100 0.221
H -0.123 3.560 3.068 -0.0194 -0.1054 -0.0043 0.224
H -1.796 4.079 2.903 0.0095 -0.0607 -0.0307 0.205
H -1.877 1.697 2.550 0.0622 0.0029 -0.0292 0.159
H -0.457 1.687 1.541 0.0023 0.1219 -0.3778 0.184
____________

**Solution**
# 1
26
Properties=species:S:1:pos:R:3:forces:R:3:nbo_charge:R:1 method="wB97M-V/def2-TZVPD" smiles="CNC[C@@H](C)NC=O.O.O" total_energy_ha=-535.32845 e_lumo_ev=0.589 homo_lumo_gap_ev=9.39 relative_energy_kj_mol=132.0
C 0.692 -0.274 2.512 0.7487 -0.5414 -0.1800 -0.408
N 0.278 1.037 2.106 -0.1645 0.4744 -0.0090 -0.650
C 0.913 1.672 0.975 -0.5149 -0.1812 -0.3185 -0.210
C 0.028 1.619 -0.309 0.0217 0.4001 0.4725 -0.084
C -0.064 2.952 -1.062 -0.1572 -0.8341 0.6695 -0.615
N 0.484 0.555 -1.195 -0.0561 -0.0016 0.4536 -0.616
C -0.327 -0.417 -1.649 -0.2424 0.2170 -1.1850 0.517
O -1.529 -0.494 -1.481 0.0827 -0.0126 0.5474 -0.633
H -0.041 -1.047 2.277 -0.0372 -0.0505 0.1037 0.187
H 1.626 -0.552 2.006 -0.1408 -0.0446 -0.1768 0.183
H 0.972 -0.331 3.562 -0.3583 0.0711 0.2575 0.195
H 0.077 1.660 2.865 0.1194 0.0544 0.0342 0.374
H 1.177 2.697 1.233 -0.0750 0.1438 -0.1466 0.197
H 1.826 1.147 0.709 0.4993 -0.0281 0.2063 0.174
H -0.946 1.319 0.066 -0.1546 -0.0311 -0.3252 0.243
H 0.931 3.378 -1.151 0.0016 0.2872 -0.2418 0.201
H -0.524 2.763 -2.021 0.0419 0.1690 -0.3930 0.220
H -0.728 3.601 -0.501 0.1557 0.3494 0.0486 0.221
H 1.412 0.632 -1.581 0.0439 -0.1903 -0.0231 0.398
H 0.189 -1.135 -2.305 0.1599 -0.0966 0.0469 0.119
O -1.879 -3.062 -0.173 0.0312 -0.0175 -0.1608 -0.968
H -1.845 -2.184 -0.589 -0.1219 -0.1238 0.0617 0.489
H -1.264 -3.015 0.564 0.0446 0.0832 0.0822 0.466
O 1.218 -2.589 -0.042 0.5155 -0.2181 0.7318 -0.956
H 0.767 -3.222 -0.604 -0.2419 0.2833 -0.3196 0.486
H 1.142 -1.698 -0.388 -0.2013 -0.1617 -0.2365 0.467

# 2
63
Properties=species:S:1:pos:R:3:forces:R:3:nbo_charge:R:1 method="wB97M-V/def2-TZVPD" smiles=CCO.CCO.CCO.CCO.CCO.CCO.CCO total_energy_ha=-1085.19582 e_lumo_ev=0.557 homo_lumo_gap_ev=10.30 relative_energy_kj_mol=172.9
C -0.075 -3.548 -2.826 -0.3653 0.1210 -0.0184 -0.635
C -0.627 -4.221 -1.581 0.6656 -0.1874 -0.0219 -0.057
O -1.481 -5.307 -1.885 -0.2423 -0.1578 -0.1057 -0.718
H -0.918 -3.204 -3.429 0.1276 0.0469 -0.1146 0.215
H 0.524 -4.229 -3.432 -0.0135 -0.0724 0.0457 0.203
H 0.550 -2.684 -2.594 0.0109 -0.1330 0.0325 0.214
H -1.218 -3.522 -0.992 0.0857 -0.3654 -0.1792 0.169
H 0.203 -4.587 -0.960 -0.0758 0.2011 0.1073 0.148
H -0.970 -5.956 -2.379 -0.0609 -0.0003 -0.0102 0.461
C 2.488 3.237 0.301 0.0774 0.0731 0.1830 -0.628
C 2.665 2.102 -0.683 0.1264 -0.3108 0.2655 -0.060
O 1.938 2.332 -1.878 0.1544 -0.2850 0.1193 -0.748
H 1.429 3.360 0.535 0.0013 0.0575 -0.0578 0.199
H 2.872 4.177 -0.100 -0.0782 -0.0136 -0.0492 0.208
H 3.014 3.028 1.237 0.0333 -0.0412 -0.0497 0.210
H 2.348 1.166 -0.200 -0.1069 0.1068 -0.1291 0.155
H 3.725 1.949 -0.923 -0.0298 0.2037 -0.0780 0.154
H 1.203 1.704 -1.862 -0.3265 0.3017 -0.0273 0.499
C 1.794 -0.956 2.325 -0.1069 0.0986 -0.0522 -0.624
C 3.027 -1.183 1.493 0.2736 0.4983 0.0032 -0.062
O 3.996 -0.207 1.881 0.0269 -0.0934 0.0735 -0.730
H 2.013 -1.045 3.388 0.0123 -0.2001 -0.0007 0.216
H 1.040 -1.684 2.023 -0.1048 0.0354 0.2247 0.209
H 1.406 0.054 2.174 -0.0215 -0.0467 -0.1429 0.206
H 2.804 -1.032 0.432 -0.1220 -0.2758 -0.0376 0.158
H 3.408 -2.196 1.655 0.0365 0.0024 -0.1047 0.160
H 4.733 -0.242 1.265 0.0144 -0.0078 0.0278 0.468
C -5.152 -0.003 3.003 0.7751 -0.4222 -0.6790 -0.631
C -4.211 0.108 4.178 0.3340 -0.0207 0.1719 -0.062
O -4.746 0.886 5.240 0.0001 0.0279 0.1185 -0.724
H -5.317 0.980 2.565 -0.4386 0.0321 0.1810 0.210
H -6.065 -0.547 3.225 -0.2125 0.2731 0.1378 0.210
H -4.640 -0.579 2.217 -0.0885 0.0314 0.1253 0.209
H -3.292 0.611 3.866 -0.0748 0.0669 -0.0401 0.162
H -3.882 -0.873 4.539 -0.2111 -0.0216 -0.0183 0.160
H -5.164 0.299 5.873 -0.0795 0.0201 -0.0007 0.468
C -0.956 3.625 2.368 -0.0035 0.4440 0.0314 -0.651
C -1.334 2.281 1.797 -0.3702 -0.1612 0.4062 -0.061
O -2.161 2.412 0.629 0.3802 -0.1958 0.2888 -0.750
H -0.675 4.313 1.569 0.1030 -0.0842 -0.0100 0.221
H -0.123 3.560 3.068 -0.0194 -0.1054 -0.0043 0.224
H -1.796 4.079 2.903 0.0095 -0.0607 -0.0307 0.205
H -1.877 1.697 2.550 0.0622 0.0029 -0.0292 0.159
H -0.457 1.687 1.541 0.0023 0.1219 -0.3778 0.184